_To do_
Now transcribe the listing below unchanged.
_Excerpt_
+++
(1)
Molecular formula: C56H51MnO3P3S
Method: DFT, wB97M-V/def2-TZVPD

Each line ends with the Mulliken spin population.
CARTESIAN COORDINATES (ANGSTROEM)
Mn  0.0288  0.1651  0.6121  4.36
O  -3.6624  -2.4129  2.6547  0.00
S  -2.9599  -1.8761  1.4746  0.03
C  -4.2266  -1.2314  0.3314  0.01
C  -5.4129  -1.9163  0.1335  0.00
C  -6.3330  -1.4434  -0.7852  0.00
C  -6.0509  -0.2971  -1.5137  0.00
C  -4.8825  0.4103  -1.2885  0.00
C  -3.9663  -0.0221  -0.3271  0.04
P  -2.4430  0.9017  0.0985  0.16
C  -2.9344  1.7182  1.6638  0.00
C  -4.0992  1.4321  2.3684  -0.01
C  -4.4023  2.1372  3.5263  0.00
C  -3.5603  3.1400  3.9760  0.00
C  -2.3869  3.4172  3.2861  0.00
C  -2.0699  2.7079  2.1413  0.02
C  -2.6212  2.2533  -1.1200  -0.01
C  -2.0636  2.0346  -2.3789  0.02
C  -2.2788  2.9345  -3.4085  0.01
C  -3.0256  4.0824  -3.1775  0.00
C  -3.5564  4.3214  -1.9191  0.00
C  -3.3661  3.4047  -0.8931  0.00
C  -2.6094  -3.2779  0.3778  -0.02
C  -3.4029  -4.4078  0.4919  0.00
C  -3.2900  -5.4245  -0.4381  0.00
C  -2.4031  -5.2894  -1.4976  0.00
C  -1.5589  -4.1948  -1.5642  -0.01
C  -1.6190  -3.1830  -0.6032  0.05
P  -0.1818  -2.0295  -0.3978  -0.05
C  0.7507  -3.2939  0.5501  -0.06
C  0.7970  -3.1331  1.9321  0.04
C  1.3273  -4.1282  2.7384  0.01
C  1.8340  -5.2849  2.1702  0.00
C  1.7906  -5.4533  0.7926  0.00
C  1.2386  -4.4730  -0.0128  -0.01
C  0.4411  -2.0227  -2.1126  0.00
C  -0.4324  -1.4767  -3.0581  0.03
C  -0.0721  -1.4126  -4.3919  -0.01
C  1.1677  -1.8949  -4.7956  0.00
C  2.0550  -2.3939  -3.8564  0.00
C  1.7011  -2.4467  -2.5148  0.02
H  -5.6105  -2.8200  0.6942  0.00
H  -7.2613  -1.9761  -0.9444  0.00
H  -6.7578  0.0572  -2.2533  0.00
H  -4.6870  1.3194  -1.8407  0.00
H  -4.7786  0.6620  2.0306  0.00
H  -5.3058  1.8965  4.0720  0.00
H  -3.8165  3.7043  4.8637  0.00
H  -1.7125  4.1843  3.6460  0.00
H  -1.1499  2.9047  1.6030  -0.01
H  -1.4500  1.1546  -2.5365  0.01
H  -1.8515  2.7530  -4.3869  0.00
H  -3.1805  4.7989  -3.9744  0.00
H  -4.1315  5.2208  -1.7372  0.00
H  -3.8030  3.5827  0.0816  0.00
H  -4.0877  -4.4832  1.3282  0.00
H  -3.8968  -6.3158  -0.3469  0.00
H  -2.3387  -6.0616  -2.2535  0.00
H  -0.8355  -4.1270  -2.3661  0.00
H  0.4092  -2.2309  2.3928  0.00
H  1.3531  -3.9858  3.8106  0.00
H  2.2657  -6.0564  2.7948  0.00
H  2.1812  -6.3569  0.3408  0.00
H  1.1640  -4.6409  -1.0793  0.00
H  -1.4022  -1.1120  -2.7321  0.00
H  -0.7537  -0.9869  -5.1173  0.00
H  1.4437  -1.8749  -5.8421  0.00
H  3.0361  -2.7362  -4.1602  0.00
H  2.4086  -2.8104  -1.7822  0.00
O  0.9623  -0.1713  4.3320  0.02
C  -0.1153  0.0367  3.7905  0.00
O  -0.3355  0.0770  2.5272  0.11
H  -1.0224  0.2043  4.4066  0.00
C  1.0951  5.0045  -1.8239  0.00
C  1.1154  4.6203  -0.3400  0.01
C  2.5176  4.8761  0.2308  0.01
C  0.0789  5.4479  0.4355  0.00
C  0.7829  3.1939  -0.1849  -0.06
C  0.5195  2.0090  -0.0633  0.12
H  1.3585  6.0585  -1.9421  0.00
H  0.1063  4.8389  -2.2428  0.00
H  1.8131  4.3964  -2.3772  0.00
H  2.8023  5.9188  0.0697  0.00
H  3.2508  4.2358  -0.2623  0.00
H  2.5404  4.6741  1.3028  0.00
H  0.2937  6.5143  0.3320  0.00
H  0.1055  5.1810  1.4935  0.00
H  -0.9252  5.2490  0.0586  0.00
C  2.9165  1.4905  2.0307  0.00
P  2.6459  0.0590  0.9182  0.03
C  3.6673  0.5494  -0.5263  -0.03
C  5.0544  0.6694  -0.4441  0.00
C  5.7932  1.0278  -1.5599  0.00
C  5.1558  1.2825  -2.7678  0.00
C  3.7754  1.1930  -2.8511  0.00
C  3.0355  0.8284  -1.7353  0.00
C  3.7440  -1.1560  1.7321  0.03
C  4.4726  -2.0782  0.9802  0.01
C  5.3327  -2.9679  1.6008  0.00
C  5.4731  -2.9544  2.9817  0.01
C  4.7180  -2.0716  3.7377  -0.01
C  3.8440  -1.1870  3.1230  0.01
H  2.3276  1.3412  2.9377  0.00
H  2.5598  2.3847  1.5254  0.01
H  3.9728  1.5795  2.2846  0.00
H  5.5610  0.4785  0.4943  0.00
H  6.8704  1.1127  -1.4874  0.00
H  5.7350  1.5658  -3.6377  0.00
H  3.2712  1.4060  -3.7858  0.00
H  1.9551  0.7826  -1.7792  0.11
H  4.3781  -2.0784  -0.0986  0.00
H  5.8973  -3.6764  1.0066  0.00
H  6.1594  -3.6394  3.4638  0.00
H  4.8098  -2.0712  4.8171  0.00
+++
_Here it is_
(1)
Molecular formula: C56H51MnO3P3S
Method: DFT, wB97M-V/def2-TZVPD

Each line ends with the Mulliken spin population.
CARTESIAN COORDINATES (ANGSTROEM)
Mn  0.0288  0.1651  0.6121  4.36
O  -3.6624  -2.4129  2.6547  0.00
S  -2.9599  -1.8761  1.4746  0.03
C  -4.2266  -1.2314  0.3314  0.01
C  -5.4129  -1.9163  0.1335  0.00
C  -6.3330  -1.4434  -0.7852  0.00
C  -6.0509  -0.2971  -1.5137  0.00
C  -4.8825  0.4103  -1.2885  0.00
C  -3.9663  -0.0221  -0.3271  0.04
P  -2.4430  0.9017  0.0985  0.16
C  -2.9344  1.7182  1.6638  0.00
C  -4.0992  1.4321  2.3684  -0.01
C  -4.4023  2.1372  3.5263  0.00
C  -3.5603  3.1400  3.9760  0.00
C  -2.3869  3.4172  3.2861  0.00
C  -2.0699  2.7079  2.1413  0.02
C  -2.6212  2.2533  -1.1200  -0.01
C  -2.0636  2.0346  -2.3789  0.02
C  -2.2788  2.9345  -3.4085  0.01
C  -3.0256  4.0824  -3.1775  0.00
C  -3.5564  4.3214  -1.9191  0.00
C  -3.3661  3.4047  -0.8931  0.00
C  -2.6094  -3.2779  0.3778  -0.02
C  -3.4029  -4.4078  0.4919  0.00
C  -3.2900  -5.4245  -0.4381  0.00
C  -2.4031  -5.2894  -1.4976  0.00
C  -1.5589  -4.1948  -1.5642  -0.01
C  -1.6190  -3.1830  -0.6032  0.05
P  -0.1818  -2.0295  -0.3978  -0.05
C  0.7507  -3.2939  0.5501  -0.06
C  0.7970  -3.1331  1.9321  0.04
C  1.3273  -4.1282  2.7384  0.01
C  1.8340  -5.2849  2.1702  0.00
C  1.7906  -5.4533  0.7926  0.00
C  1.2386  -4.4730  -0.0128  -0.01
C  0.4411  -2.0227  -2.1126  0.00
C  -0.4324  -1.4767  -3.0581  0.03
C  -0.0721  -1.4126  -4.3919  -0.01
C  1.1677  -1.8949  -4.7956  0.00
C  2.0550  -2.3939  -3.8564  0.00
C  1.7011  -2.4467  -2.5148  0.02
H  -5.6105  -2.8200  0.6942  0.00
H  -7.2613  -1.9761  -0.9444  0.00
H  -6.7578  0.0572  -2.2533  0.00
H  -4.6870  1.3194  -1.8407  0.00
H  -4.7786  0.6620  2.0306  0.00
H  -5.3058  1.8965  4.0720  0.00
H  -3.8165  3.7043  4.8637  0.00
H  -1.7125  4.1843  3.6460  0.00
H  -1.1499  2.9047  1.6030  -0.01
H  -1.4500  1.1546  -2.5365  0.01
H  -1.8515  2.7530  -4.3869  0.00
H  -3.1805  4.7989  -3.9744  0.00
H  -4.1315  5.2208  -1.7372  0.00
H  -3.8030  3.5827  0.0816  0.00
H  -4.0877  -4.4832  1.3282  0.00
H  -3.8968  -6.3158  -0.3469  0.00
H  -2.3387  -6.0616  -2.2535  0.00
H  -0.8355  -4.1270  -2.3661  0.00
H  0.4092  -2.2309  2.3928  0.00
H  1.3531  -3.9858  3.8106  0.00
H  2.2657  -6.0564  2.7948  0.00
H  2.1812  -6.3569  0.3408  0.00
H  1.1640  -4.6409  -1.0793  0.00
H  -1.4022  -1.1120  -2.7321  0.00
H  -0.7537  -0.9869  -5.1173  0.00
H  1.4437  -1.8749  -5.8421  0.00
H  3.0361  -2.7362  -4.1602  0.00
H  2.4086  -2.8104  -1.7822  0.00
O  0.9623  -0.1713  4.3320  0.02
C  -0.1153  0.0367  3.7905  0.00
O  -0.3355  0.0770  2.5272  0.11
H  -1.0224  0.2043  4.4066  0.00
C  1.0951  5.0045  -1.8239  0.00
C  1.1154  4.6203  -0.3400  0.01
C  2.5176  4.8761  0.2308  0.01
C  0.0789  5.4479  0.4355  0.00
C  0.7829  3.1939  -0.1849  -0.06
C  0.5195  2.0090  -0.0633  0.12
H  1.3585  6.0585  -1.9421  0.00
H  0.1063  4.8389  -2.2428  0.00
H  1.8131  4.3964  -2.3772  0.00
H  2.8023  5.9188  0.0697  0.00
H  3.2508  4.2358  -0.2623  0.00
H  2.5404  4.6741  1.3028  0.00
H  0.2937  6.5143  0.3320  0.00
H  0.1055  5.1810  1.4935  0.00
H  -0.9252  5.2490  0.0586  0.00
C  2.9165  1.4905  2.0307  0.00
P  2.6459  0.0590  0.9182  0.03
C  3.6673  0.5494  -0.5263  -0.03
C  5.0544  0.6694  -0.4441  0.00
C  5.7932  1.0278  -1.5599  0.00
C  5.1558  1.2825  -2.7678  0.00
C  3.7754  1.1930  -2.8511  0.00
C  3.0355  0.8284  -1.7353  0.00
C  3.7440  -1.1560  1.7321  0.03
C  4.4726  -2.0782  0.9802  0.01
C  5.3327  -2.9679  1.6008  0.00
C  5.4731  -2.9544  2.9817  0.01
C  4.7180  -2.0716  3.7377  -0.01
C  3.8440  -1.1870  3.1230  0.01
H  2.3276  1.3412  2.9377  0.00
H  2.5598  2.3847  1.5254  0.01
H  3.9728  1.5795  2.2846  0.00
H  5.5610  0.4785  0.4943  0.00
H  6.8704  1.1127  -1.4874  0.00
H  5.7350  1.5658  -3.6377  0.00
H  3.2712  1.4060  -3.7858  0.00
H  1.9551  0.7826  -1.7792  0.11
H  4.3781  -2.0784  -0.0986  0.00
H  5.8973  -3.6764  1.0066  0.00
H  6.1594  -3.6394  3.4638  0.00
H  4.8098  -2.0712  4.8171  0.00